## Contents
Here is a structure of composition C29H49Cl3CoN3O3Si at a distorted geometry from the Open Molecules 2025 dataset. Energies are from ωB97M-V/def2-TZVPD.

Calculated values
* 2S+1: 5
* Kohn-Sham gap (alpha / beta): 7.6 / 5.9 eV
* highest occupied orbital energy (alpha / beta): -0.272 / -0.273 Ha
* net charge: 0
* LUMO (alpha / beta): 0.0085 / -0.0543 Ha

Each line ends with the Mulliken charge.
CARTESIAN COORDINATES (ANGSTROEM)
1 O 0.2255 3.0871 0.9141  -0.203
2 H -0.8350 3.3147 -3.2750  0.378
3 H 4.3003 -3.2086 -1.5606  0.297
4 H 1.7355 -1.2791 4.0203  0.389
5 C 1.0468 -3.2715 -0.5357  0.562
6 C -1.0127 -3.2559 1.3616  -0.649
7 H 1.9035 -1.1064 1.5159  0.106
8 H -4.3345 2.5276 3.9491  0.248
9 C -0.4841 0.7377 -4.4066  -1.169
10 H 0.1352 0.0479 0.2436  -0.163
11 H 3.8656 0.7437 -2.5719  0.326
12 C 0.0536 -4.1393 1.4826  -0.824
13 Cl -3.2744 3.6108 1.3476  -0.535
14 C -0.4016 -2.8325 -3.3682  0.554
15 H 0.8471 2.5988 -0.9763  0.162
16 H -1.6168 1.8150 5.0543  0.560
17 H -1.9168 -1.7660 0.0212  0.445
18 H -2.7930 -0.0137 6.1062  0.377
19 H 0.1699 -0.0352 -4.8310  0.108
20 H -0.8479 4.7544 1.4943  0.279
21 C -4.3457 1.6433 4.6050  -0.752
22 H 1.6570 1.0324 -0.8050  -0.216
23 H -4.0345 -0.9152 5.1825  0.345
24 H 0.5210 -6.0023 -4.2799  0.371
25 H -1.9864 -1.6947 -4.3108  0.276
26 H 3.7969 -1.8162 0.0177  0.362
27 H -4.1875 1.9442 5.6524  0.406
28 C -1.2305 2.5774 -2.5561  -1.476
29 H 4.1416 -0.5462 -3.8453  0.434
30 C -0.0114 -4.1212 -3.3049  0.152
31 C 0.9972 -0.6992 3.4600  -1.063
32 C 3.9097 -2.6188 -2.4120  -0.965
33 H 2.0240 6.9153 1.8331  0.290
34 H -0.0513 0.0611 5.1969  0.441
35 H 1.9957 2.0208 -2.2356  0.521
36 C -3.0719 -0.3869 5.1193  -0.822
37 C -0.4991 -1.9119 -2.1475  -0.153
38 H -5.2949 1.0874 4.4713  0.320
39 N 3.6743 -1.2467 -1.9620  0.348
40 C -0.1263 -2.5516 -0.8006  0.121
41 H -1.5204 0.4319 -4.5978  0.301
42 H -1.0096 -5.3276 -4.7932  0.361
43 H -1.5895 -1.6627 -2.0722  0.629
44 C -1.0997 -2.4676 0.2092  -0.604
45 H -2.1839 2.4799 3.4625  0.120
46 H -2.2865 2.4109 -2.8101  0.387
47 C -1.1072 -2.3022 -4.5807  -1.903
48 H -1.8057 -3.1901 2.1083  0.433
49 H -2.3023 -1.0763 4.7700  0.266
50 H 2.6696 3.6710 0.8717  0.187
51 H 2.9497 -3.0354 -2.7763  0.343
52 H 1.9321 -4.8487 0.6503  0.424
53 C -0.9413 0.7354 3.3327  2.638
54 H 2.5776 3.7941 2.6567  0.263
55 H 0.7013 6.5444 2.9568  0.337
56 C 1.0611 6.4185 1.9308  -0.946
57 O 3.4939 0.1932 -0.1599  -0.583
58 H 2.4901 -0.1688 -3.2944  0.086
59 N -3.1969 0.7777 4.2049  0.617
60 C -0.9641 0.6692 1.9638  -1.476
61 H -0.4476 -1.6969 -5.2097  0.291
62 C 1.1005 -4.1381 0.5646  -1.144
63 H 0.2346 -4.5519 -2.3536  0.463
64 O 0.3319 -0.7246 -2.3545  -0.389
65 H -0.3040 1.6446 -4.9877  0.479
66 C 1.2019 1.7139 -1.5452  -0.436
67 C 0.1200 4.2469 1.3278  -0.236
68 H 0.0690 -4.8339 2.3173  0.381
69 H 0.4869 -4.5574 -5.3365  0.335
70 H 0.3282 6.8682 1.2545  0.340
71 H 4.6245 -2.6174 -3.2532  0.350
72 H 3.2730 5.1308 1.7207  0.307
73 C -0.0032 0.0319 4.1081  -0.850
74 N 1.2015 5.0164 1.5942  0.198
75 Cl -4.2377 -0.0202 1.5015  -0.468
76 H 1.8830 -3.2767 -1.2428  0.434
77 C 0.0056 -5.0538 -4.4804  -1.709
78 H -1.1707 3.0640 -1.5702  0.210
79 C 3.5453 -0.2218 -2.9813  -0.846
80 C 3.6419 -0.9275 -0.6370  0.002
81 C 1.0773 -0.6370 2.0658  -1.171
82 C 0.0897 0.0502 1.3296  2.719
83 C 2.4973 4.3631 1.7104  -0.747
84 H -3.4696 0.3709 3.2679  -0.132
85 Co -2.7343 1.5901 0.9998  -0.662
86 C -1.9262 1.5787 4.0345  -1.534
87 Si -0.1211 0.8731 -2.6038  1.270
88 Cl -2.3267 0.6665 -0.9009  0.014
89 H -1.4836 -3.0995 -5.2371  0.462

Here is a structure of composition H16O8 at a distorted geometry from the Open Molecules 2025 dataset. Energies are from ωB97M-V/def2-TZVPD.

Calculated values
* Kohn-Sham gap: 9.4 eV
* highest occupied orbital energy: -0.357 Ha
* net charge: 0
* LUMO: -0.0106 Ha

Each line ends with the Mulliken charge.
CARTESIAN COORDINATES (ANGSTROEM)
1 O 1.0666 25.1053 -8.7806  -0.748
2 O 0.8721 28.6416 -3.7075  -0.632
3 H -1.6741 27.7580 -5.1534  0.321

## Exercise
Find "2S+1:" and "-1.0096 -5.3276" in the material above, and retype these two lines and those between, please.

## Worked solution
* 2S+1: 5
* Kohn-Sham gap (alpha / beta): 7.6 / 5.9 eV
* highest occupied orbital energy (alpha / beta): -0.272 / -0.273 Ha
* net charge: 0
* LUMO (alpha / beta): 0.0085 / -0.0543 Ha

Each line ends with the Mulliken charge.
CARTESIAN COORDINATES (ANGSTROEM)
1 O 0.2255 3.0871 0.9141  -0.203
2 H -0.8350 3.3147 -3.2750  0.378
3 H 4.3003 -3.2086 -1.5606  0.297
4 H 1.7355 -1.2791 4.0203  0.389
5 C 1.0468 -3.2715 -0.5357  0.562
6 C -1.0127 -3.2559 1.3616  -0.649
7 H 1.9035 -1.1064 1.5159  0.106
8 H -4.3345 2.5276 3.9491  0.248
9 C -0.4841 0.7377 -4.4066  -1.169
10 H 0.1352 0.0479 0.2436  -0.163
11 H 3.8656 0.7437 -2.5719  0.326
12 C 0.0536 -4.1393 1.4826  -0.824
13 Cl -3.2744 3.6108 1.3476  -0.535
14 C -0.4016 -2.8325 -3.3682  0.554
15 H 0.8471 2.5988 -0.9763  0.162
16 H -1.6168 1.8150 5.0543  0.560
17 H -1.9168 -1.7660 0.0212  0.445
18 H -2.7930 -0.0137 6.1062  0.377
19 H 0.1699 -0.0352 -4.8310  0.108
20 H -0.8479 4.7544 1.4943  0.279
21 C -4.3457 1.6433 4.6050  -0.752
22 H 1.6570 1.0324 -0.8050  -0.216
23 H -4.0345 -0.9152 5.1825  0.345
24 H 0.5210 -6.0023 -4.2799  0.371
25 H -1.9864 -1.6947 -4.3108  0.276
26 H 3.7969 -1.8162 0.0177  0.362
27 H -4.1875 1.9442 5.6524  0.406
28 C -1.2305 2.5774 -2.5561  -1.476
29 H 4.1416 -0.5462 -3.8453  0.434
30 C -0.0114 -4.1212 -3.3049  0.152
31 C 0.9972 -0.6992 3.4600  -1.063
32 C 3.9097 -2.6188 -2.4120  -0.965
33 H 2.0240 6.9153 1.8331  0.290
34 H -0.0513 0.0611 5.1969  0.441
35 H 1.9957 2.0208 -2.2356  0.521
36 C -3.0719 -0.3869 5.1193  -0.822
37 C -0.4991 -1.9119 -2.1475  -0.153
38 H -5.2949 1.0874 4.4713  0.320
39 N 3.6743 -1.2467 -1.9620  0.348
40 C -0.1263 -2.5516 -0.8006  0.121
41 H -1.5204 0.4319 -4.5978  0.301
42 H -1.0096 -5.3276 -4.7932  0.361